[Exercise]
Work out how many lines further below have the word "for" in them; a number is enough.

[Data]
____________
First-principles (meta-GGA SCAN) data for a PBEsol-optimized structure of Al2FeBr, as listed in Alexandria via LeMat-Bulk.

POSCAR file:
```
Al2FeBr
1.0
5.251 -1.474 0.000
5.251 1.474 0.000
-0.954 0.000 4.386
Al Fe Br
2 1 1
Cartesian
1.968 0.000 0.993 Al
7.579 0.000 3.392 Al
5.251 0.000 0.000 Fe
-0.477 0.000 2.193 Br
```

Results
E_form (uncorrected) = 0.3537 eV per atom
E_tot = -12.9195 eV per atom
N(E_F) = 0.477 states/eV/atom


First-principles (meta-GGA SCAN) data for a PBEsol-optimized structure of Ta2BePt, as listed in Alexandria via LeMat-Bulk.

POSCAR file:
```
Ta2BePt
1.0
-1.869 1.869 4.320
1.869 -1.869 4.320
1.869 1.869 -4.320
Ta Be Pt
2 1 1
Cartesian
0.000 0.000 0.000 Ta
0.000 1.869 2.160 Ta
0.000 0.000 4.320 Be
1.869 0.000 2.160 Pt
```

Results
E_tot = -52.1817 eV per atom
N(E_F) = 0.695 states/eV/atom
energy of formation from the pure elements = -24 kJ per mole of atoms


First-principles (meta-GGA SCAN) data for a PBEsol-optimized structure of BP3Ir, as listed in Alexandria via LeMat-Bulk.

POSCAR file:
```
BP3Ir
1.0
3.962 0.000 0.000
0.000 3.962 0.000
0.000 0.000 3.962
B P Ir
1 3 1
Cartesian
0.000 0.000 0.000 B
0.000 0.000 1.981 P
0.000 1.981 0.000 P
1.981 0.000 0.000 P
1.981 1.981 1.981 Ir
```

Results
E_tot = -21.0434 eV per atom
N(E_F) = 0.371 states/eV/atom
energy of formation from the pure elements = 87 kJ per mole of atoms


First-principles (meta-GGA SCAN) data for a PBEsol-optimized structure of Ni3HAu, as listed in Alexandria via LeMat-Bulk.

POSCAR file:
```
Ni3HAu
1.0
3.677 0.000 0.000
0.000 3.677 0.000
0.000 0.000 3.677
Ni H Au
3 1 1
Cartesian
0.000 0.000 1.838 Ni
0.000 1.838 0.000 Ni
1.838 0.000 0.000 Ni
0.000 0.000 0.000 H
1.838 1.838 1.838 Au
```

Results
E_tot = -24.1878 eV per atom
N(E_F) = 0.965 states/eV/atom


First-principles (meta-GGA SCAN) data for a PBEsol-optimized structure of Al2ReHg2, as listed in Alexandria via LeMat-Bulk.

POSCAR file:
```
Al2ReHg2
1.0
-1.815 1.815 7.343
1.815 -1.815 7.343
1.815 1.815 -7.343
Al Re Hg
2 1 2
Cartesian
0.000 0.000 1.236 Al
0.000 0.000 13.451 Al
0.000 0.000 7.343 Re
1.815 0.000 3.672 Hg
0.000 1.815 3.672 Hg
```

Results
E_tot = -43.8084 eV per atom
N(E_F) = 0.544 states/eV/atom
energy of formation from the pure elements = 75 kJ per mole of atoms


First-principles (meta-GGA SCAN) data for a PBEsol-optimized structure of K2ReMo, as listed in Alexandria via LeMat-Bulk.

POSCAR file:
```
K2ReMo
1.0
1.384 0.799 12.132
-1.384 0.799 12.132
0.000 -1.598 12.132
K Re Mo
2 1 1
Cartesian
0.000 0.000 9.001 K
0.000 0.000 27.396 K
0.000 0.000 18.199 Re
0.000 0.000 0.000 Mo
```

Results
E_tot = -29.2200 eV per atom
N(E_F) = 0.666 states/eV/atom
energy of formation from the pure elements = 139 kJ per mole of atoms


First-principles (meta-GGA SCAN) data for a PBEsol-optimized structure of MgSiNi3, as listed in Alexandria via LeMat-Bulk.

POSCAR file:
```
MgSiNi3
1.0
4.171 0.000 0.000
0.000 4.171 0.000
0.000 0.000 4.171
Mg Si Ni
1 1 3
Cartesian
0.000 0.000 0.000 Mg
2.085 2.085 2.085 Si
0.000 0.000 2.085 Ni
0.000 2.085 0.000 Ni
2.085 0.000 0.000 Ni
```

Results
E_form (uncorrected) = 1.3247 eV per atom
E_tot = -11.3772 eV per atom
N(E_F) = 0.902 states/eV/atom


First-principles (meta-GGA SCAN) data for a PBEsol-optimized structure of TaCrPt2, as listed in Alexandria via LeMat-Bulk.

POSCAR file:
```
TaCrPt2
1.0
1.379 0.796 8.922
-1.379 0.796 8.922
0.000 -1.593 8.922
Ta Cr Pt
1 1 2
Cartesian
0.000 0.000 0.000 Ta
0.000 0.000 13.383 Cr
0.000 0.000 6.564 Pt
0.000 0.000 20.203 Pt
```

Results
E_tot = -56.6073 eV per atom
N(E_F) = 0.695 states/eV/atom
energy of formation from the pure elements = -26 kJ per mole of atoms


First-principles (meta-GGA SCAN) data for a PBEsol-optimized structure of SrMgTl2, as listed in Alexandria via LeMat-Bulk.

POSCAR file:
```
SrMgTl2
1.0
5.127 0.000 0.000
0.000 5.127 0.000
0.000 0.000 4.297
Sr Mg Tl
1 1 2
Cartesian
0.000 0.000 0.000 Sr
2.564 2.564 0.000 Mg
0.000 2.564 2.148 Tl
2.564 0.000 2.148 Tl
```

Results
E_tot = -43.3283 eV per atom
____________

[Worked solution]
9